Impact of Information Technology on Organizations

The impact of information technology will have significant effects on the structure, management and function of most organisations. It demands new patterns of work organisation and effects individual jobs, the structure of groups and teams, the nature of supervision and managerial roles. Information technology results in changes to lines of command, authority and the need for reconstructing the organisation structure and attention to job design. Computer based information and decision support systems influence choices in design of production or service activities, hierarchical structures and organisations of support staffs. Information technology may influence the centralization or decentralization of decision making and control systems. New technology has resulted in a flatter organisational structure with fewer levels of management required. In the case of new office technology it allows the potential for staff at clerical/operator level to carry out a wider range of functions and to check their own work. The result is Continue reading

New Trends In E-Business

E-business changed the way business was being done over the years. It created more and more avenues and opportunities. E-business changed the competitive platform. While the old competitive barriers are diminishing it created new entry and competitive barriers. The hard competitive barriers are becoming weak while the soft competitive barriers became more and more prominent. It is believed that not even 50% of the potential of e-business is to be unleashed yet. This definitely indicates that e-business has lot more to offer. E-business has appealed the businesses and customers from all segments. E-business increased the connectivity among different businesses. The integration among departments, different businesses, and different sectors through e-business made it possible to offer variety of services to customers. The new technologies, high speed internet made the transactions possible. Improved integration and interoperability needs of next generation e-business systems are met by new e-business solution architectures. New technologies of Continue reading

Data Mining Functionalities

Data mining has an important place in today’s world. It becomes an important research area as there is a huge amount of data available in most of the applications. This huge amount of data must be processed in order to extract useful information and knowledge, since they are not explicit. Data Mining is the process of discovering interesting knowledge from large amount of data. The kinds of patterns that can be discovered depend upon the data mining tasks employed. By and large, there are two types of data mining tasks: descriptive data mining tasks that describe the general properties of the existing data, and predictive data mining tasks that attempt to do predictions based on inference on available data. The data mining functionalities and the variety of knowledge they discover are briefly presented in the following list: Characterization: It is the summarization of general features of objects in a target Continue reading

Virtual Private Network (VPN) Tunneling Protocols

Virtual Private Network (VPN) create secure connections, called tunnels, through public shared communication infrastructures such as the Internet. These tunnels are not physical entities, but logical constructs, created using encryption, security standards, and protocols. The VPN tunneling protocols are set of standardized rules and policy that are employed on the transmitted data. There are various standard of protocol technologies used to create a VPN tunnel and each of these protocols is specially built with some unique security features. The most widely used  Virtual Private Network (VPN) Tunneling Protocols are discussed below. Internet Protocol Security (IPSec) The Internet Protocol Security (IPSec) has proposed in Internet Engineering Task Force (IETF) Request for Comment (RFC) database in RFC (2401), provides data packet integrity, confidentiality and authentication over IP networks. The IPSec policy consists of sets of rules that designate the traffic to be protected, the type of protection, such as authentication or confidentiality, Continue reading

Components of Voice Over Internet Protocol (VoIP)

VoIP stands for Voice over Internet Protocol. It is a technology that lets you make telephone calls over the Internet, rather than a regular phone line. Which is almost always cheaper.  VoIP works by using a network technology known as Packet Switching Network whereas landline telephones use the Circuit Switching Network. This is referred to as the Public Switched Telephone Network. The main difference between Packet Switching and Circuit Switching is that Packet Switching uses (data) or Packets and sends them over the Internet while Circuit Switching is accomplished by using electrical circuits to make a telephone connection. Circuit Switching is like the old Switchboard operators, frantically trying to connect the right caller with the receiver. Packet Switching is used to transfer data all across the Internet including E-mail. Packet Switching converts audio formats into data packets and transmits them over the Internet, then reassembles them on the other person’s Continue reading

Inserted here: data records:
<<<
Here is a 2-piece molecular cluster, Cl2H3N2P overall from OMol25. Energies are from wB97M-V/def2-TZVPD.

Last column: Löwdin charge in e.
Positions of all 8 atoms, in Å:
N -0.7122 -0.0308 1.3511  -0.38
N -0.6233 -0.2673 -1.2392  -0.15
P 0.2028 0.0613 0.1335  -0.28
Cl 1.0975 1.9541 0.0753  0.19
Cl 1.8000 -1.1897 0.2945  0.23
H -0.0081 0.3831 2.7166  0.24
H -0.3351 -0.0198 -2.2052  0.09
H -1.4216 -0.8909 -1.1265  0.07

net charge = 0
ΔE to the lowest compared entry with this formula, charge and spin = 273.7 kJ/mol
max |F| = 5.60 eV Å⁻¹
2S+1 = 1

---

Here is a 2-piece molecular cluster, Cl2H3NSi overall from OMol25. Energies are from wB97M-V/def2-TZVPD.

Last column: Löwdin charge in e.
Positions of all 7 atoms, in Å:
H -1.6687 -0.0215 0.8460  -0.01
N -0.8764 -0.2354 0.2270  -0.26
Si -0.2793 0.2484 -1.1926  0.16
Cl 1.6777 0.5969 -1.2311  0.31
H -0.4523 0.3143 -2.6207  -0.09
Cl 1.0002 -0.5798 2.5791  0.25
H 0.5988 -0.3228 1.3923  -0.36

net charge = 0
ΔE to the lowest compared entry with this formula, charge and spin = 326.7 kJ/mol
max |F| = 2.50 eV Å⁻¹
2S+1 = 1
SMILES = [H]/N=[SiH]/Cl.Cl

---

Here is a 2-piece molecular cluster, Cl2H3NSi overall from OMol25. Energies are from wB97M-V/def2-TZVPD.

Last column: Löwdin charge in e.
Positions of all 7 atoms, in Å:
H -0.1351 1.6915 -0.1499  0.04
N 0.1569 0.6394 -0.0677  -0.29
Si 1.6084 0.0750 0.2329  0.10
Cl 1.8900 -1.8473 0.0048  0.36
H 2.8188 0.8290 0.5994  -0.07
Cl -1.4287 -1.9144 -0.9316  0.17
H -0.6714 -0.9627 -0.3428  -0.31

net charge = 0
ΔE to the lowest compared entry with this formula, charge and spin = 303.7 kJ/mol
max |F| = 3.10 eV Å⁻¹
2S+1 = 1
SMILES = [H]/N=[SiH]/Cl.Cl

---

Here is Cl2H4LiO2 as an isolated structure from OMol25. Energies are from wB97M-V/def2-TZVPD.

Last column: Löwdin charge in e.
Positions of all 9 atoms, in Å:
Li 0.1664 0.6515 -0.0514  0.39
Cl 1.3925 0.5223 2.0053  -0.54
Cl 0.4190 2.1974 -1.7246  -0.64
O -1.9463 0.0704 0.2102  -0.11
H -2.1289 -0.3667 1.0510  0.05
H -2.6598 0.7073 0.0940  0.05
O 1.2776 -1.0598 -0.6649  -0.18
H 1.4747 -1.3014 0.2574  -0.04
H 2.0049 -1.4211 -1.1769  0.04

net charge = -1
ΔE to the lowest compared entry with this formula, charge and spin = 0.0 kJ/mol
max |F| = 0.75 eV Å⁻¹
2S+1 = 1

----------

Entry 1:
Computed, not measured: a molecular structure, C8H10CoO5 at a distorted geometry, with ωB97M-V with the def2-TZVPD basis set.

The gap between HOMO and LUMO (alpha / beta) comes out at 10.424 / 6.339 eV. As for the expectation value of S²: 3.7724. The energy comes out at -56300.00398 eV. The calculation puts the max |F| at 7.061 eV Å⁻¹. Its net charge is +2. As for the spin multiplicity: 4. The calculation puts the energy relative to the best compared isomer or geometry (same formula, charge and spin) at 18.68 kJ/mol.

```
24
Properties=species:S:1:pos:R:3:lowdin_charge:R:1
Co -1.23 1.66 0.99 0.2574
O -3.82 0.31 0.02 0.2351
C -2.81 0.76 0.36 0.0641
C -0.10 1.41 2.29 -0.0953
O 0.41 0.91 3.18 0.2655
C -0.04 2.68 0.23 -0.0974
>>>
So much for the data records:

Case Study of PanAmSat: Recovering from a Satellite Failure

A Galaxy 4 satellite operated by PanAmSat, a subsidiary of Hughes Electronics, tilted away from the earth at 6:13 P.M. on May 19, 1998 and began to spin because of a computer failure and the subsequent failure of a backup computer. This unexpected problem disabled 80% to 90% of the pager services in the U.S. along with a number of credit card authorization  networks, television transmissions, and other networked services. PanAmSat’s effects to realign the satellite failed, but it was able to restore service within a day by rerouting the traffic the satellite normally handled. Of the 17 satellites PanAmSat had in orbit at the time, one was a spare. The recovery plan included rerouting signals for paging, retail-store services, and other services though its Galaxy 3R satellite and rerouting television signals through its Galaxy 4 had occupied since its launch in 1993. Computer failure had transformed the Galaxy 4 Continue reading